This record from the Materials Project describes crystalline La10Er9S27 at its relaxed geometry. The functional is GGA-PBE.

Summary:
**Excess energy over the best structure of this formula in the dataset**: 0 meV per atom
**Total DFT energy (no corrections)**: -302.11 eV/cell

a b c (Å): 3.943 15.005 18.876
angles (deg): 99.15 95.98 97.55
Fractional coordinates of all 46 atoms:
La 0.000 0.000 0.000
La 0.007 0.306 0.711
La 0.073 0.234 0.915
La 0.207 0.519 0.888
La 0.246 0.162 0.328
La 0.377 0.449 0.301
La 0.440 0.376 0.505
La 0.455 0.682 0.216
La 0.645 0.887 0.398
La 0.806 0.795 0.817
Er 0.052 0.647 0.467
Er 0.069 0.933 0.195
Er 0.390 0.749 0.021
Er 0.393 0.035 0.749
Er 0.622 0.558 0.684
Er 0.681 0.222 0.137
Er 0.725 0.842 0.608
Er 0.772 0.459 0.080
Er 0.826 0.125 0.532
S 0.031 0.447 0.616
S 0.058 0.814 0.293
S 0.139 0.112 0.162
S 0.169 0.835 0.506
S 0.206 0.645 0.767
S 0.226 0.340 0.108
S 0.242 0.037 0.449
S 0.279 0.848 0.709
S 0.315 0.569 0.055
S 0.396 0.867 0.923
S 0.416 0.234 0.601
S 0.503 0.217 0.794
S 0.512 0.657 0.372
S 0.514 0.928 0.093
S 0.567 0.144 0.994
S 0.606 0.654 0.571
S 0.611 0.441 0.777
S 0.654 0.013 0.288
S 0.663 0.387 0.940
S 0.786 0.296 0.276
S 0.802 0.668 0.928
S 0.838 0.030 0.645
S 0.840 0.241 0.439
S 0.885 0.538 0.222
S 0.933 0.023 0.843
S 0.943 0.466 0.422
S 0.944 0.754 0.123

---

This record from the Materials Project describes crystalline LaEr2Se4 at its relaxed geometry. The functional is GGA-PBE.

Summary:
**Total DFT energy (no corrections)**: -81.45 eV/cell
**Magnetization**: 0.004 Bohr magnetons per cell

a b c (Å): 7.607 7.607 7.607
angles (deg): 109.26 109.26 109.90
Fractional coordinates of all 14 atoms:
La 0.000 0.000 0.000
La 0.750 0.250 0.500
Er 0.256 0.625 0.131
Er 0.375 0.506 0.631
Er 0.494 0.125 0.869
Er 0.875 0.744 0.369
Se 0.134 0.732 0.747
Se 0.137 0.234 0.753
Se 0.268 0.016 0.402
Se 0.482 0.384 0.247
Se 0.613 0.866 0.598
Se 0.616 0.863 0.098
Se 0.766 0.518 0.902
Se 0.984 0.387 0.253

---

This record from the Materials Project describes crystalline Li3Er at its relaxed geometry. The functional is GGA-PBE.

Summary:
**Total DFT energy (no corrections)**: -18.89 eV/cell
**Magnetization**: 0.331 Bohr magnetons per cell

a b c (Å): 6.478 6.478 5.047
angles (deg): 90.00 90.00 120.00
Fractional coordinates of all 8 atoms:
Li 0.152 0.305 0.250
Li 0.152 0.848 0.250
Li 0.305 0.152 0.750
Li 0.695 0.848 0.250
Li 0.848 0.152 0.750
Li 0.848 0.695 0.750
Er 0.333 0.667 0.750
Er 0.667 0.333 0.250

---

Number 1: formation enthalpy at 0 K -2.4683 eV per atom. Number 2: formation enthalpy at 0 K -2.0796 eV per atom. Number 3: formation enthalpy at 0 K 0.2125 eV per atom.

* * * * *

Below is GdYHg2 after structural relaxation, with properties calculated at the PBE level. Values from VASP.

Quantum ESPRESSO input file:
```
&SYSTEM
  ibrav = 0, nat = 4, ntyp = 3
/
ATOMIC_SPECIES
Y 88.91 Y.upf
Hg 200.59 Hg.upf
Gd 157.25 Gd.upf
ATOMIC_POSITIONS angstrom
Y 0.000 0.000 0.000
Hg 3.420 -9.036 -1.185
Hg 1.140 -3.012 -0.395
Gd 2.280 -6.024 -0.790
CELL_PARAMETERS angstrom
4.370 -2.916 -0.689
0.342 -4.817 2.180
-0.151 -4.315 -3.071
```

The space-group type is Fm-3m. For the formation energy, the calculation gives -0.502 eV/atom.
Transcribe only the last part of the data further above, starting with the line that has "0.253".
Se 0.984 0.387 0.253

---

This record from the Materials Project describes crystalline Li3Er at its relaxed geometry. The functional is GGA-PBE.

Summary:
**Total DFT energy (no corrections)**: -18.89 eV/cell
**Magnetization**: 0.331 Bohr magnetons per cell

a b c (Å): 6.478 6.478 5.047
angles (deg): 90.00 90.00 120.00
Fractional coordinates of all 8 atoms:
Li 0.152 0.305 0.250
Li 0.152 0.848 0.250
Li 0.305 0.152 0.750
Li 0.695 0.848 0.250
Li 0.848 0.152 0.750
Li 0.848 0.695 0.750
Er 0.333 0.667 0.750
Er 0.667 0.333 0.250

---

Number 1: formation enthalpy at 0 K -2.4683 eV per atom. Number 2: formation enthalpy at 0 K -2.0796 eV per atom. Number 3: formation enthalpy at 0 K 0.2125 eV per atom.

* * * * *

Below is GdYHg2 after structural relaxation, with properties calculated at the PBE level. Values from VASP.

Quantum ESPRESSO input file:
```
&SYSTEM
  ibrav = 0, nat = 4, ntyp = 3
/
ATOMIC_SPECIES
Y 88.91 Y.upf
Hg 200.59 Hg.upf
Gd 157.25 Gd.upf
ATOMIC_POSITIONS angstrom
Y 0.000 0.000 0.000
Hg 3.420 -9.036 -1.185
Hg 1.140 -3.012 -0.395
Gd 2.280 -6.024 -0.790
CELL_PARAMETERS angstrom
4.370 -2.916 -0.689
0.342 -4.817 2.180
-0.151 -4.315 -3.071
```

The space-group type is Fm-3m. For the formation energy, the calculation gives -0.502 eV/atom.